/*
# CdGaH14O7F5, relaxed, DFT GGA-PBE
data_CdGaH14O7F5
_chemical_formula_sum 'Cd2 Ga2 H28 O14 F10'
_cell_length_a 5.9973
_cell_length_b 9.4761
_cell_length_c 10.1305
_cell_angle_alpha 107.84
_cell_angle_beta 102.01
_cell_angle_gamma 95.56
_symmetry_space_group_name_H-M 'P -1'
_symmetry_Int_Tables_number 2
loop_
_symmetry_equiv_pos_as_xyz
'x,y,z'
'-x,-y,-z'
loop_
_atom_site_label
_atom_site_type_symbol
_atom_site_fract_x
_atom_site_fract_y
_atom_site_fract_z
Cd1 Cd 0.0756 0.3204 0.2492
Ga1 Ga 0.4436 0.1797 0.7514
H1 H 0.1044 0.8538 0.5797
H2 H 0.1174 0.8290 0.2679
H3 H 0.1290 0.2615 0.5142
H4 H 0.1692 0.3166 0.9761
H5 H 0.1693 0.9915 0.8815
H6 H 0.1750 0.6217 0.4710
H7 H 0.2400 0.4902 0.0755
H8 H 0.2565 0.9134 0.9953
H9 H 0.2917 0.9130 0.4240
H10 H 0.3030 0.4893 0.7507
H11 H 0.3323 0.6136 0.9045
H12 H 0.3965 0.5945 0.4119
H13 H 0.4231 0.1237 0.2348
H14 H 0.4709 0.7099 0.7469
O1 O 0.0171 0.7519 0.5601
O2 O 0.1336 0.9030 0.9087
O3 O 0.1541 0.3912 0.0651
O4 O 0.2597 0.5419 0.4272
O5 O 0.2742 0.8348 0.3285
O6 O 0.2846 0.5942 0.7993
O7 O 0.4188 0.2309 0.2854
F1 F 0.1607 0.1809 0.8180
F2 F 0.2770 0.0133 0.5837
F3 F 0.3584 0.3205 0.6521
F4 F 0.3960 0.6520 0.0845
F5 F 0.4588 0.9518 0.1463
# Raw total energy in eV per cell: -269.40
# Volume in Å³/atom: 9.4
# ΔE_f in eV/atom: -1.6486
# E (MP2020) in eV/atom: -5.065

---

# SrI2O6, relaxed, DFT GGA-PBE
data_SrI2O6
_chemical_formula_sum 'Sr4 I8 O24'
_cell_length_a 7.5312
_cell_length_b 11.8311
_cell_length_c 9.1144
_cell_angle_alpha 90.00
_cell_angle_beta 126.59
_cell_angle_gamma 90.00
_symmetry_space_group_name_H-M 'P 1 21/c 1'
_symmetry_Int_Tables_number 14
loop_
_symmetry_equiv_pos_as_xyz
'x,y,z'
'-x,-y,-z'
'-x,y+1/2,-z+1/2'
'x,-y+1/2,z+1/2'
loop_
_atom_site_label
_atom_site_type_symbol
_atom_site_fract_x
_atom_site_fract_y
_atom_site_fract_z
Sr1 Sr 0.2343 0.0986 0.0072
I1 I 0.2361 0.0747 0.4631
I2 I 0.3172 0.7139 0.5580
O1 O 0.0329 0.5378 0.8342
O2 O 0.0602 0.2007 0.3786
O3 O 0.1203 0.6079 0.5249
O4 O 0.3739 0.0920 0.3513
O5 O 0.4482 0.7462 0.2960
O6 O 0.4800 0.1102 0.9044
# Raw total energy in eV per cell: -176.66
# Volume in Å³/atom: 18.1
# ΔE_f in eV/atom: -1.5402
# E (MP2020) in eV/atom: -5.365
# Distance to the lowest polymorph of the same formula in meV per atom: 0

---

# Tb2Si3Ir3, relaxed, DFT GGA-PBE
data_Tb2Si3Ir3
_chemical_formula_sum 'Tb2 Si3 Ir3'
_cell_length_a 2.9419
_cell_length_b 3.4570
_cell_length_c 13.4620
_cell_angle_alpha 89.98
_cell_angle_beta 85.65
_cell_angle_gamma 90.00
_symmetry_space_group_name_H-M 'P 1'
_symmetry_Int_Tables_number 1
loop_
_symmetry_equiv_pos_as_xyz
'x,y,z'
loop_
_atom_site_label
_atom_site_type_symbol
_atom_site_fract_x
_atom_site_fract_y
_atom_site_fract_z
Tb1 Tb 0.0000 0.0000 0.0000
Tb2 Tb 0.1023 0.0006 0.4959
Si1 Si 0.0415 0.0001 0.2476
Si2 Si 0.5271 0.4995 0.8442
Si3 Si 0.5743 0.5020 0.6528
Ir1 Ir 0.0732 0.0022 0.7486
Ir2 Ir 0.4432 0.4995 0.1505
Ir3 Ir 0.6693 0.5021 0.3477
# Raw total energy in eV per cell: -55.87
# Volume in Å³/atom: 17.1
# ΔE_f in eV/atom: -0.4760

---

# KTl4Co10Se10, relaxed, DFT GGA-PBE
data_KTl4Co10Se10
_chemical_formula_sum 'K2 Tl8 Co20 Se20'
_cell_length_a 3.8639
_cell_length_b 3.8639
_cell_length_c 66.9344
_cell_angle_alpha 90.00
_cell_angle_beta 90.00
_cell_angle_gamma 90.00
_symmetry_space_group_name_H-M 'I 4/m m m'
_symmetry_Int_Tables_number 139
_symmetry_space_group_name_Hall '-I 4 2'
loop_
_atom_site_label
_atom_site_type_symbol
_atom_site_fract_x
_atom_site_fract_y
_atom_site_fract_z
K1 K 0.0000 0.0000 0.0000
Tl1 Tl 0.0000 0.0000 0.2000
Tl2 Tl 0.0000 0.0000 0.4000
Co1 Co 0.0000 0.5000 0.0499
Co2 Co 0.0000 0.5000 0.1500
Co3 Co 0.0000 0.5000 0.2500
Se1 Se 0.0000 0.0000 0.0696
Se2 Se 0.0000 0.0000 0.1305
Se3 Se 0.0000 0.0000 0.2696
Se4 Se 0.0000 0.0000 0.3305
Se5 Se 0.0000 0.0000 0.4698
# Raw total energy in eV per cell: -246.77
# Volume in Å³/atom: 20.0
# ΔE_f in eV/atom: -0.4601
# E (MP2020) in eV/atom: -5.124

* * * * *

--- w ---
*/

Write out everything above verbatim.

# CdGaH14O7F5, relaxed, DFT GGA-PBE
data_CdGaH14O7F5
_chemical_formula_sum 'Cd2 Ga2 H28 O14 F10'
_cell_length_a 5.9973
_cell_length_b 9.4761
_cell_length_c 10.1305
_cell_angle_alpha 107.84
_cell_angle_beta 102.01
_cell_angle_gamma 95.56
_symmetry_space_group_name_H-M 'P -1'
_symmetry_Int_Tables_number 2
loop_
_symmetry_equiv_pos_as_xyz
'x,y,z'
'-x,-y,-z'
loop_
_atom_site_label
_atom_site_type_symbol
_atom_site_fract_x
_atom_site_fract_y
_atom_site_fract_z
Cd1 Cd 0.0756 0.3204 0.2492
Ga1 Ga 0.4436 0.1797 0.7514
H1 H 0.1044 0.8538 0.5797
H2 H 0.1174 0.8290 0.2679
H3 H 0.1290 0.2615 0.5142
H4 H 0.1692 0.3166 0.9761
H5 H 0.1693 0.9915 0.8815
H6 H 0.1750 0.6217 0.4710
H7 H 0.2400 0.4902 0.0755
H8 H 0.2565 0.9134 0.9953
H9 H 0.2917 0.9130 0.4240
H10 H 0.3030 0.4893 0.7507
H11 H 0.3323 0.6136 0.9045
H12 H 0.3965 0.5945 0.4119
H13 H 0.4231 0.1237 0.2348
H14 H 0.4709 0.7099 0.7469
O1 O 0.0171 0.7519 0.5601
O2 O 0.1336 0.9030 0.9087
O3 O 0.1541 0.3912 0.0651
O4 O 0.2597 0.5419 0.4272
O5 O 0.2742 0.8348 0.3285
O6 O 0.2846 0.5942 0.7993
O7 O 0.4188 0.2309 0.2854
F1 F 0.1607 0.1809 0.8180
F2 F 0.2770 0.0133 0.5837
F3 F 0.3584 0.3205 0.6521
F4 F 0.3960 0.6520 0.0845
F5 F 0.4588 0.9518 0.1463
# Raw total energy in eV per cell: -269.40
# Volume in Å³/atom: 9.4
# ΔE_f in eV/atom: -1.6486
# E (MP2020) in eV/atom: -5.065

---

# SrI2O6, relaxed, DFT GGA-PBE
data_SrI2O6
_chemical_formula_sum 'Sr4 I8 O24'
_cell_length_a 7.5312
_cell_length_b 11.8311
_cell_length_c 9.1144
_cell_angle_alpha 90.00
_cell_angle_beta 126.59
_cell_angle_gamma 90.00
_symmetry_space_group_name_H-M 'P 1 21/c 1'
_symmetry_Int_Tables_number 14
loop_
_symmetry_equiv_pos_as_xyz
'x,y,z'
'-x,-y,-z'
'-x,y+1/2,-z+1/2'
'x,-y+1/2,z+1/2'
loop_
_atom_site_label
_atom_site_type_symbol
_atom_site_fract_x
_atom_site_fract_y
_atom_site_fract_z
Sr1 Sr 0.2343 0.0986 0.0072
I1 I 0.2361 0.0747 0.4631
I2 I 0.3172 0.7139 0.5580
O1 O 0.0329 0.5378 0.8342
O2 O 0.0602 0.2007 0.3786
O3 O 0.1203 0.6079 0.5249
O4 O 0.3739 0.0920 0.3513
O5 O 0.4482 0.7462 0.2960
O6 O 0.4800 0.1102 0.9044
# Raw total energy in eV per cell: -176.66
# Volume in Å³/atom: 18.1
# ΔE_f in eV/atom: -1.5402
# E (MP2020) in eV/atom: -5.365
# Distance to the lowest polymorph of the same formula in meV per atom: 0

---

# Tb2Si3Ir3, relaxed, DFT GGA-PBE
data_Tb2Si3Ir3
_chemical_formula_sum 'Tb2 Si3 Ir3'
_cell_length_a 2.9419
_cell_length_b 3.4570
_cell_length_c 13.4620
_cell_angle_alpha 89.98
_cell_angle_beta 85.65
_cell_angle_gamma 90.00
_symmetry_space_group_name_H-M 'P 1'
_symmetry_Int_Tables_number 1
loop_
_symmetry_equiv_pos_as_xyz
'x,y,z'
loop_
_atom_site_label
_atom_site_type_symbol
_atom_site_fract_x
_atom_site_fract_y
_atom_site_fract_z
Tb1 Tb 0.0000 0.0000 0.0000
Tb2 Tb 0.1023 0.0006 0.4959
Si1 Si 0.0415 0.0001 0.2476
Si2 Si 0.5271 0.4995 0.8442
Si3 Si 0.5743 0.5020 0.6528
Ir1 Ir 0.0732 0.0022 0.7486
Ir2 Ir 0.4432 0.4995 0.1505
Ir3 Ir 0.6693 0.5021 0.3477
# Raw total energy in eV per cell: -55.87
# Volume in Å³/atom: 17.1
# ΔE_f in eV/atom: -0.4760

---

# KTl4Co10Se10, relaxed, DFT GGA-PBE
data_KTl4Co10Se10
_chemical_formula_sum 'K2 Tl8 Co20 Se20'
_cell_length_a 3.8639
_cell_length_b 3.8639
_cell_length_c 66.9344
_cell_angle_alpha 90.00
_cell_angle_beta 90.00
_cell_angle_gamma 90.00
_symmetry_space_group_name_H-M 'I 4/m m m'
_symmetry_Int_Tables_number 139
_symmetry_space_group_name_Hall '-I 4 2'
loop_
_atom_site_label
_atom_site_type_symbol
_atom_site_fract_x
_atom_site_fract_y
_atom_site_fract_z
K1 K 0.0000 0.0000 0.0000
Tl1 Tl 0.0000 0.0000 0.2000
Tl2 Tl 0.0000 0.0000 0.4000
Co1 Co 0.0000 0.5000 0.0499
Co2 Co 0.0000 0.5000 0.1500
Co3 Co 0.0000 0.5000 0.2500
Se1 Se 0.0000 0.0000 0.0696
Se2 Se 0.0000 0.0000 0.1305
Se3 Se 0.0000 0.0000 0.2696
Se4 Se 0.0000 0.0000 0.3305
Se5 Se 0.0000 0.0000 0.4698
# Raw total energy in eV per cell: -246.77
# Volume in Å³/atom: 20.0
# ΔE_f in eV/atom: -0.4601
# E (MP2020) in eV/atom: -5.124

* * * * *

--- w ---